Tweed Shire Council has adopted a $283 million budget for 2024/2025, featuring investment for essential water, roads and waste infrastructure improvements.
The budget was adopted at last week’s Council meeting, along with the other core documents in the Integrated Planning and Reporting Framework:
2022/2026 Delivery Program and 2024/2025 Draft Operational Plan
2024/2034 Resourcing Strategy
2024/2025 Revenue Policy and Statement
2024/2025 Budget
2024/2025 Fees and Charges.
The 2024/25 Operational Plan – which includes the budget – provides the services, projects and resources to be delivered in the third year of the Delivery Program and aims to achieve the objectives and goals as set out in the adopted Community Strategic Plan.
These documents were on exhibition for public comment from 22 April to 20 May 2024, with one submission received.
Council’s $283 million budget is made up of 3 funds: $169 million from general funds, $56 million from water funds and $58 million from sewerage funds.
The budget will be used to fund several key capital works totalling $68 million during the 2024/25 financial year, including:
$15.7 million on sewer infrastructure
$15.6 million in resource recovery, including $4 million on waste transfer station infrastructure, $7 million on the Eviron Quarry landfill haul road, $4 million on construction of the Eviron Quarry landfill cell and $600,000 on a new green organics drop-off area
$14.9 million on capital roadworks
$2.7 million on the raising of Clarrie Hall Dam project
$2.9 million on relocation of Council’s Works Depot to flood-free land
$1.6 million on implementation costs for Council’s IT Enterprise Resource Planning project
$800,000 on stormwater drainage.
[Someone pasted crystal structures at this point]
____________
[1]
This entry pairs a crystal structure of KTb2ReO8 with its calculated powder XRD pattern. Radiation: Cu Kα X-rays. Structure: a structure optimized by DFT (PBE).
Intensities are scaled so that the largest is 100.

Largest 10 diffraction maxima, in order of rising 2θ, 2θ from 5° to 70°:
2θ = 13.0°, I = 100, hkl 0 0 1; 2θ = 19.2°, I = 63, hkl 1 0 1; 2θ = 21.7°, I = 39, hkl 1 1 0; 2θ = 27.6°, I = 97, hkl 1 -1 0; 2θ = 28.2°, I = 36, hkl 1 1 -1; 2θ = 30.8°, I = 29, hkl 0 1 2; 2θ = 34.3°, I = 22, hkl 0 2 0; 2θ = 35.0°, I = 43, hkl 1 2 1; 2θ = 38.5°, I = 25, hkl 1 1 -2; 2θ = 44.2°, I = 18, hkl 0 1 -3

Structure:
```
KTb2ReO8
1.0
5.286 0.000 0.000
1.374 5.232 0.000
2.031 0.266 6.799
K Tb Re O
1 2 1 8
direct
0.000 0.000 0.000
0.344 0.441 0.315
0.656 0.559 0.685
0.000 0.000 0.500
0.074 0.263 0.619
0.235 0.085 0.263
0.301 0.745 0.555
0.358 0.549 0.988
0.642 0.451 0.012
0.699 0.255 0.445
0.765 0.915 0.737
0.926 0.737 0.381
```


[2]
This entry pairs a crystal structure of K3TbRe2O9 with its calculated powder XRD pattern. Radiation: Cu Kα X-rays. Structure: a structure optimized by DFT (PBE).
Intensities are scaled so that the largest is 100.

Largest 10 diffraction maxima, in order of rising 2θ, 2θ from 5° to 70°:
2θ = 21.7°, I = 100, hkl 1 0 1; 2θ = 30.8°, I = 74, hkl 0 1 2; 2θ = 31.0°, I = 72, hkl 1 1 0; 2θ = 44.2°, I = 46, hkl 2 0 2; 2θ = 49.6°, I = 22, hkl 1 1 3; 2θ = 49.9°, I = 22, hkl 2 1 1; 2θ = 54.5°, I = 14, hkl 1 0 4; 2θ = 55.0°, I = 29, hkl 1 2 2; 2θ = 55.1°, I = 14, hkl 3 0 0; 2θ = 64.6°, I = 14, hkl 2 2 0

Structure:
```
K3TbRe2O9
1.0
5.771 0.000 0.000
-2.886 4.998 0.000
0.000 0.000 7.149
K Tb Re O
3 1 2 9
direct
0.000 0.000 0.000
0.333 0.667 0.669
0.667 0.333 0.331
0.000 0.000 0.500
0.333 0.667 0.158
0.667 0.333 0.842
0.000 0.500 0.000
0.179 0.358 0.308
0.179 0.821 0.308
0.358 0.179 0.692
0.500 0.000 0.000
0.500 0.500 0.000
0.642 0.821 0.308
0.821 0.179 0.692
0.821 0.642 0.692
```


[3]
This entry pairs a crystal structure of KTl2ReO4 with its calculated powder XRD pattern. Radiation: Cu Kα X-rays. Structure: a structure optimized by DFT (PBE).
Intensities are scaled so that the largest is 100.

Largest 10 diffraction maxima, in order of rising 2θ, 2θ from 5° to 70°:
2θ = 17.8°, I = 21, hkl 1 0 1; 2θ = 27.7°, I = 50, hkl 2 0 0; 2θ = 30.0°, I = 100, hkl 1 1 2; 2θ = 33.1°, I = 10, hkl 1 2 1; 2θ = 39.5°, I = 26, hkl 2 2 0; 2θ = 50.4°, I = 46, hkl 1 3 2; 2θ = 54.5°, I = 18, hkl 2 0 4; 2θ = 62.3°, I = 13, hkl 2 2 4; 2θ = 64.7°, I = 11, hkl 2 4 0; 2θ = 65.9°, I = 13, hkl 3 3 2

Structure:
```
KTl2ReO4
1.0
6.446 0.000 0.000
0.000 6.446 0.000
0.000 0.000 7.889
K Tl Re O
2 4 2 8
direct
0.000 0.000 0.000
0.500 0.500 0.500
0.000 0.000 0.500
0.000 0.500 0.750
0.500 0.000 0.250
0.500 0.500 0.000
0.000 0.500 0.250
0.500 0.000 0.750
0.188 0.701 0.187
0.201 0.312 0.313
0.299 0.188 0.813
0.312 0.799 0.687
0.688 0.201 0.687
0.701 0.812 0.813
0.799 0.688 0.313
0.812 0.299 0.187
```


Which formula does entry 3 have? KTl2ReO4
____________
Mayor of Tweed Shire Chris Cherry said this was a balanced budget which maintained the strong financial position of Council.
“When formulating the Operational Plan and Budget, Council has been mindful of balancing the cost-of-living pressures on our ratepayers and residents against the current inflationary impact on operations and providing core infrastructure to our community,” Cr Cherry said.
To fund the projects and services as outlined in the Operational Plan, the general fund rates will increase by 4.6%, which is the recommended level set by the Independent Pricing and Regulatory Tribunal (IPART).
This will see ordinary minimum residential rates rise by $53.65 to $1,220.35, ordinary minimum business rates go up by $59 to $1,341.45 and ordinary minimum farmland rates rise by $53.65 to $1,220.35 for the 2024/25 year.
Annual charges, including water, sewerage and waste charges, will rise by $70.20 for the year. Combined with rates, this will take the total minimum residential bill to $2,959.45 for the 2024/25 financial year – representing a 4.37% increase.